• Contents:
1.
Entry from the OMol25 dataset: a structure of composition C3H2CrLiO2 in a non-equilibrium geometry (ωB97M-V/def2-TZVPD).

Geometry as XYZ:
```
9
Properties=species:S:1:pos:R:3:forces:R:3
C -0.304 1.391 -1.311 -1.3 0.8 1.6
C 0.443 1.361 -0.315 1.5 -0.1 -1.2
H -1.226 1.905 -1.570 -0.1 -0.2 -1.0
H 1.484 1.519 -0.054 0.0 0.0 0.7
O 0.278 -0.369 1.584 2.3 -0.7 2.4
C 0.904 -1.264 0.959 -7.0 1.1 -2.1
O 0.252 -1.854 0.082 3.6 -1.2 0.5
Li -0.366 -0.874 -1.558 0.2 -0.4 -1.0
Cr -1.463 -1.818 2.182 0.8 0.7 0.2
```
Forces are in eV/Å.

Multiplicity ... 5
E_LUMO (spin up / spin down) ... -18.5 / -16.9 eV
Kohn-Sham gap (spin up / spin down) ... 0.189 / 0.305 Eh
Electronic energy ... -35822.273 eV
Total charge ... +3

Atom-resolved charges from Mulliken, all expressed in e: C -0.49; C 0.08; H 0.41; H 0.45; O -0.40; C 0.90; O -0.53; Li 0.95; Cr 1.63

2.
Entry from the OMol25 dataset: a structure of composition C10H17NO2S in a non-equilibrium geometry (ωB97M-V/def2-TZVPD).

Geometry as XYZ:
```
31
Properties=species:S:1:pos:R:3:forces:R:3
C 2.352 1.331 0.304 0.4 -0.5 1.5
C -2.518 1.047 -1.886 0.7 -0.1 0.8
C 1.281 0.798 1.259 0.8 -0.2 1.2
C 1.844 1.214 -1.100 0.6 -0.1 -2.0
C 1.849 -1.638 0.547 1.5 -0.2 0.7
C 2.388 -1.178 -0.861 -0.3 -0.9 0.1
C 0.763 -0.624 0.849 -1.4 -0.5 0.0
C 1.231 -0.208 -1.317 0.7 0.3 -1.2
C -3.019 -0.271 1.680 -2.3 0.1 0.1
C -2.793 -0.648 0.196 0.8 -1.7 0.1
N 0.166 -0.642 -0.503 -1.8 0.8 1.9
O 3.449 1.696 0.695 -1.0 -0.1 -0.9
O -1.813 1.811 0.575 0.9 -0.9 -1.1
S -1.738 0.706 -0.430 -1.3 1.8 -0.3
H -2.539 1.993 -2.410 0.4 0.1 0.4
H -2.371 0.163 -2.462 -0.3 -0.6 -0.8
H 1.633 0.807 2.355 -0.4 0.0 -1.7
H 0.500 1.552 1.121 -0.5 -0.3 0.4
H 1.103 1.983 -1.391 0.4 -0.2 0.4
H 2.684 1.202 -1.865 -0.8 0.6 1.0
H 1.544 -2.746 0.524 0.1 1.9 0.2
H 2.621 -1.485 1.311 0.1 -0.5 -0.1
H 3.359 -0.577 -0.819 -1.1 -1.4 -0.2
H 2.423 -2.173 -1.375 0.5 1.4 -0.4
H 0.055 -1.030 1.610 0.4 0.5 -0.5
H 0.825 -0.238 -2.341 0.9 -0.3 0.0
H -2.124 -0.286 2.330 -0.3 0.6 -0.8
H -3.588 0.728 1.590 1.3 -1.4 0.9
H -3.714 -0.968 2.238 0.5 0.4 -1.1
H -3.709 -0.765 -0.469 1.1 0.5 1.2
H -2.142 -1.556 0.045 -0.7 0.7 0.3
```
Forces are in eV/Å.

Relative energy (zero: lowest compared OMol25 entry of this formula, charge and spin) ... 87.53 kcal per mole
E_LUMO (spin up / spin down) ... -0.8 / -0.3 eV
Kohn-Sham gap (spin up / spin down) ... 0.271 / 0.288 Eh
Electronic energy ... -27060.336 eV

Atom-resolved charges from Mulliken, all expressed in e: C 0.26; C -1.07; C -0.53; C -0.86; C -0.80; C -0.74; C 0.09; C -0.09; C -0.96; C -0.47; N -0.44; O -0.60; O -0.71; S 1.10; H 0.32; H 0.37; H 0.37; H 0.32; H 0.35; H 0.38; H 0.38; H 0.31; H 0.32; H 0.32; H 0.29; H 0.49; H 0.23; H 0.27; H 0.36; H 0.39; H 0.31

3.
Entry from the OMol25 dataset: a structure of composition C25H27N5O4PtS (ωB97M-V/def2-TZVPD).

Geometry as XYZ:
```
63
Properties=species:S:1:pos:R:3:forces:R:3
Pt -0.370 -0.262 -1.361 0.1 0.1 -0.1
S 1.791 -0.368 -0.675 0.0 0.0 -0.1
C 1.917 1.332 -0.276 -0.1 -0.1 0.0
N 2.960 1.921 0.207 0.0 0.0 0.0
N 4.039 1.176 0.384 -0.1 0.0 0.0
C 5.186 1.701 0.979 0.1 0.0 0.0
C 5.260 3.035 1.373 0.0 0.0 0.0
C 6.424 3.507 1.958 0.0 0.0 0.0
C 7.516 2.674 2.158 0.0 0.0 0.0
C 7.433 1.346 1.761 0.0 0.0 0.0
C 6.278 0.859 1.175 0.0 0.0 0.0
N 0.816 2.177 -0.371 0.1 0.0 0.0
N -0.233 1.628 -0.768 -0.1 0.0 -0.1
C -1.374 2.504 -0.826 0.0 0.1 0.0
C -1.290 3.689 -1.536 0.0 0.0 0.0
C -2.400 4.520 -1.587 0.0 0.0 0.0
C -3.564 4.164 -0.923 0.0 0.0 0.0
C -3.626 2.973 -0.209 0.0 0.0 0.0
C -2.532 2.125 -0.163 0.1 0.0 0.0
H 3.999 0.186 0.171 0.0 0.0 0.0
H 4.411 3.684 1.218 0.0 0.0 0.0
H 6.474 4.545 2.261 0.0 0.0 0.0
H 8.419 3.054 2.614 0.0 0.0 0.0
H 8.274 0.681 1.908 0.0 0.0 0.0
H 6.218 -0.178 0.864 0.0 0.0 0.0
H -0.366 3.945 -2.038 0.0 0.0 0.0
H -2.354 5.447 -2.144 0.0 0.0 0.0
H -4.427 4.816 -0.962 0.0 0.0 0.0
H -4.535 2.703 0.313 0.0 0.0 0.0
H -2.544 1.189 0.380 0.0 0.0 0.0
C -0.927 -7.024 -2.361 0.0 0.0 0.0
O -2.223 -6.462 -2.491 0.0 0.0 0.0
C -2.335 -5.120 -2.416 0.0 0.0 0.0
• Exercise:
What is needed: find the line earlier on that holds "... 0.189", then repeat that line and all lines after it there.
• Completed:
Kohn-Sham gap (spin up / spin down) ... 0.189 / 0.305 Eh
Electronic energy ... -35822.273 eV
Total charge ... +3

Atom-resolved charges from Mulliken, all expressed in e: C -0.49; C 0.08; H 0.41; H 0.45; O -0.40; C 0.90; O -0.53; Li 0.95; Cr 1.63

2.
Entry from the OMol25 dataset: a structure of composition C10H17NO2S in a non-equilibrium geometry (ωB97M-V/def2-TZVPD).

Geometry as XYZ:
```
31
Properties=species:S:1:pos:R:3:forces:R:3
C 2.352 1.331 0.304 0.4 -0.5 1.5
C -2.518 1.047 -1.886 0.7 -0.1 0.8
C 1.281 0.798 1.259 0.8 -0.2 1.2
C 1.844 1.214 -1.100 0.6 -0.1 -2.0
C 1.849 -1.638 0.547 1.5 -0.2 0.7
C 2.388 -1.178 -0.861 -0.3 -0.9 0.1
C 0.763 -0.624 0.849 -1.4 -0.5 0.0
C 1.231 -0.208 -1.317 0.7 0.3 -1.2
C -3.019 -0.271 1.680 -2.3 0.1 0.1
C -2.793 -0.648 0.196 0.8 -1.7 0.1
N 0.166 -0.642 -0.503 -1.8 0.8 1.9
O 3.449 1.696 0.695 -1.0 -0.1 -0.9
O -1.813 1.811 0.575 0.9 -0.9 -1.1
S -1.738 0.706 -0.430 -1.3 1.8 -0.3
H -2.539 1.993 -2.410 0.4 0.1 0.4
H -2.371 0.163 -2.462 -0.3 -0.6 -0.8
H 1.633 0.807 2.355 -0.4 0.0 -1.7
H 0.500 1.552 1.121 -0.5 -0.3 0.4
H 1.103 1.983 -1.391 0.4 -0.2 0.4
H 2.684 1.202 -1.865 -0.8 0.6 1.0
H 1.544 -2.746 0.524 0.1 1.9 0.2
H 2.621 -1.485 1.311 0.1 -0.5 -0.1
H 3.359 -0.577 -0.819 -1.1 -1.4 -0.2
H 2.423 -2.173 -1.375 0.5 1.4 -0.4
H 0.055 -1.030 1.610 0.4 0.5 -0.5
H 0.825 -0.238 -2.341 0.9 -0.3 0.0
H -2.124 -0.286 2.330 -0.3 0.6 -0.8
H -3.588 0.728 1.590 1.3 -1.4 0.9
H -3.714 -0.968 2.238 0.5 0.4 -1.1
H -3.709 -0.765 -0.469 1.1 0.5 1.2
H -2.142 -1.556 0.045 -0.7 0.7 0.3
```
Forces are in eV/Å.

Relative energy (zero: lowest compared OMol25 entry of this formula, charge and spin) ... 87.53 kcal per mole
E_LUMO (spin up / spin down) ... -0.8 / -0.3 eV
Kohn-Sham gap (spin up / spin down) ... 0.271 / 0.288 Eh
Electronic energy ... -27060.336 eV

Atom-resolved charges from Mulliken, all expressed in e: C 0.26; C -1.07; C -0.53; C -0.86; C -0.80; C -0.74; C 0.09; C -0.09; C -0.96; C -0.47; N -0.44; O -0.60; O -0.71; S 1.10; H 0.32; H 0.37; H 0.37; H 0.32; H 0.35; H 0.38; H 0.38; H 0.31; H 0.32; H 0.32; H 0.29; H 0.49; H 0.23; H 0.27; H 0.36; H 0.39; H 0.31

3.
Entry from the OMol25 dataset: a structure of composition C25H27N5O4PtS (ωB97M-V/def2-TZVPD).

Geometry as XYZ:
```
63
Properties=species:S:1:pos:R:3:forces:R:3
Pt -0.370 -0.262 -1.361 0.1 0.1 -0.1
S 1.791 -0.368 -0.675 0.0 0.0 -0.1
C 1.917 1.332 -0.276 -0.1 -0.1 0.0
N 2.960 1.921 0.207 0.0 0.0 0.0
N 4.039 1.176 0.384 -0.1 0.0 0.0
C 5.186 1.701 0.979 0.1 0.0 0.0
C 5.260 3.035 1.373 0.0 0.0 0.0
C 6.424 3.507 1.958 0.0 0.0 0.0
C 7.516 2.674 2.158 0.0 0.0 0.0
C 7.433 1.346 1.761 0.0 0.0 0.0
C 6.278 0.859 1.175 0.0 0.0 0.0
N 0.816 2.177 -0.371 0.1 0.0 0.0
N -0.233 1.628 -0.768 -0.1 0.0 -0.1
C -1.374 2.504 -0.826 0.0 0.1 0.0
C -1.290 3.689 -1.536 0.0 0.0 0.0
C -2.400 4.520 -1.587 0.0 0.0 0.0
C -3.564 4.164 -0.923 0.0 0.0 0.0
C -3.626 2.973 -0.209 0.0 0.0 0.0
C -2.532 2.125 -0.163 0.1 0.0 0.0
H 3.999 0.186 0.171 0.0 0.0 0.0
H 4.411 3.684 1.218 0.0 0.0 0.0
H 6.474 4.545 2.261 0.0 0.0 0.0
H 8.419 3.054 2.614 0.0 0.0 0.0
H 8.274 0.681 1.908 0.0 0.0 0.0
H 6.218 -0.178 0.864 0.0 0.0 0.0
H -0.366 3.945 -2.038 0.0 0.0 0.0
H -2.354 5.447 -2.144 0.0 0.0 0.0
H -4.427 4.816 -0.962 0.0 0.0 0.0
H -4.535 2.703 0.313 0.0 0.0 0.0
H -2.544 1.189 0.380 0.0 0.0 0.0
C -0.927 -7.024 -2.361 0.0 0.0 0.0
O -2.223 -6.462 -2.491 0.0 0.0 0.0
C -2.335 -5.120 -2.416 0.0 0.0 0.0